## Activity
Reproduce everything below word for word.

## Data
<<<
CePr2GeN4: optimized geometry, GGA-PBE.

## Properties
density	6.99	g/cm3
E_form (uncorrected)	-840	meV/atom

a = 3.6313 Å, b = 6.1541 Å, c = 12.2459 Å
α = 90.00°, β = 90.00°, γ = 107.16°
Site moments in Bohr magnetons follow the coordinates.
Atoms (fractional coordinates):
Pr 0.3686 0.7372 0.9550  0.02
N 0.2760 0.5520 0.3648  -0.01
Pr 0.3686 0.7372 0.5450  0.02
N 0.7240 0.4480 0.8648  -0.01
N 0.0000 0.0000 0.5000  -0.01
Ce 0.9007 0.8013 0.2500  0.87
N 0.0000 0.0000 0.0000  -0.01
Ge 0.8328 0.6655 0.7500  0.00
Pr 0.6314 0.2628 0.4550  0.02
N 0.2760 0.5520 0.1352  -0.01
Ce 0.0993 0.1987 0.7500  0.87
N 0.5800 0.1599 0.2500  -0.01
N 0.4200 0.8401 0.7500  -0.01
Ge 0.1672 0.3345 0.2500  0.00
Pr 0.6314 0.2628 0.0450  0.02
N 0.7240 0.4480 0.6352  -0.01


Ce4Pr2Ge3N2: optimized geometry, GGA-PBE.

## Properties
density	6.74	g/cm3
E_form (uncorrected)	-945	meV/atom

a = 4.6506 Å, b = 4.6506 Å, c = 12.8210 Å
α = 100.45°, β = 100.45°, γ = 90.00°
Site moments in Bohr magnetons follow the coordinates.
Atoms (fractional coordinates):
Ce 0.5814 0.0814 0.1629  0.34
Ce 0.0814 0.5814 0.1629  0.34
N 0.3996 0.3996 0.7992  -0.02
Ge 0.1724 0.1724 0.3448  -0.02
Pr 0.6997 0.6997 0.3994  0.04
Pr 0.3003 0.3003 0.6006  0.04
Ge 0.0000 0.0000 0.0000  -0.03
N 0.6004 0.6004 0.2008  -0.02
Ce 0.4186 0.9186 0.8371  0.34
Ge 0.8276 0.8276 0.6552  -0.02
Ce 0.9186 0.4186 0.8371  0.34


CePr2GeN5: optimized geometry, GGA-PBE.

## Properties
density	6.94	g/cm3
E_form (uncorrected)	-776	meV/atom

a = 3.4422 Å, b = 7.9775 Å, c = 10.0712 Å
α = 90.00°, β = 90.00°, γ = 102.46°
Site moments in Bohr magnetons follow the coordinates.
Atoms (fractional coordinates):
Ge 0.5497 0.0994 0.9521  0.00
N 0.6639 0.3277 0.8712  0.09
N 0.3587 0.7173 0.0046  0.12
N 0.4958 0.9917 0.7881  0.08
N 0.9550 0.9099 0.5479  0.05
Ce 0.2149 0.4298 0.0099  0.06
N 0.0450 0.0901 0.0479  0.05
Ge 0.4503 0.9006 0.4521  0.00
Pr 0.1055 0.2109 0.6793  0.00
N 0.2889 0.5779 0.6645  0.17
N 0.6413 0.2827 0.5046  0.12
Pr 0.8945 0.7891 0.1793  0.00
Pr 0.1158 0.2315 0.3064  0.00
N 0.3361 0.6723 0.3712  0.09
N 0.7111 0.4221 0.1645  0.17
Ce 0.7851 0.5702 0.5099  0.06
Pr 0.8842 0.7685 0.8064  0.00
N 0.5042 0.0083 0.2881  0.08


Ce2PrGeN5: optimized geometry, GGA-PBE.

## Properties
density	6.95	g/cm3
E_form (uncorrected)	-915	meV/atom

a = 3.3545 Å, b = 8.6639 Å, c = 9.4487 Å
α = 90.00°, β = 90.00°, γ = 101.16°
Atoms (fractional coordinates):
N 0.6342 0.2684 0.5210
Pr 0.2213 0.4426 0.0013
Ge 0.5532 0.1064 0.9536
N 0.0355 0.0709 0.0492
N 0.4960 0.9919 0.7832
Ce 0.0950 0.1900 0.6742
Ce 0.9050 0.8100 0.1742
N 0.3484 0.6968 0.3574
N 0.5040 0.0081 0.2832
Pr 0.7787 0.5574 0.5013
N 0.3213 0.6427 0.6889
Ce 0.8959 0.7918 0.7951
N 0.9645 0.9291 0.5492
Ce 0.1041 0.2082 0.2951
N 0.6787 0.3573 0.1889
Ge 0.4468 0.8936 0.4536
N 0.3658 0.7316 0.0210
N 0.6516 0.3032 0.8574


RbCeGeN3: optimized geometry, GGA-PBE.

## Properties
density	4.51	g/cm3
E_form (uncorrected)	-480	meV/atom

a = 3.5481 Å, b = 8.3978 Å, c = 8.5371 Å
α = 100.23°, β = 90.00°, γ = 90.00°
Atoms (fractional coordinates):
N 0.7500 0.8235 0.1865
N 0.2500 0.8737 0.4997
Ge 0.7500 0.9032 0.3954
Rb 0.2500 0.1726 0.1874
Rb 0.7500 0.8274 0.8126
N 0.7500 0.4502 0.1136
N 0.2500 0.1765 0.8135
N 0.7500 0.1263 0.5003
Ce 0.7500 0.3761 0.8508
Ge 0.2500 0.0968 0.6046
Ce 0.2500 0.6239 0.1492
N 0.2500 0.5498 0.8864


CeGeRu2N: optimized geometry, GGA-PBE.

## Properties
density	8.91	g/cm3
E_form (uncorrected)	-633	meV/atom

a = 3.8459 Å, b = 6.0626 Å, c = 7.2278 Å
α = 90.00°, β = 90.00°, γ = 108.49°
Site moments in Bohr magnetons follow the coordinates.
Atoms (fractional coordinates):
N 0.0000 0.0000 0.5000  0.00
Ru 0.1614 0.3227 0.5518  0.00
Ge 0.2708 0.5415 0.2500  0.00
Ru 0.8386 0.6773 0.4482  0.00
Ru 0.8386 0.6773 0.0518  0.00
Ru 0.1614 0.3227 0.9482  0.00
Ge 0.7292 0.4585 0.7500  0.00
Ce 0.5494 0.0987 0.2500  0.41
N 0.0000 0.0000 0.0000  0.00
Ce 0.4506 0.9013 0.7500  0.41


CeGeRuN: optimized geometry, GGA-PBE.

## Properties
density	7.84	g/cm3
>>>

## Result
CePr2GeN4: optimized geometry, GGA-PBE.

## Properties
density	6.99	g/cm3
E_form (uncorrected)	-840	meV/atom

a = 3.6313 Å, b = 6.1541 Å, c = 12.2459 Å
α = 90.00°, β = 90.00°, γ = 107.16°
Site moments in Bohr magnetons follow the coordinates.
Atoms (fractional coordinates):
Pr 0.3686 0.7372 0.9550  0.02
N 0.2760 0.5520 0.3648  -0.01
Pr 0.3686 0.7372 0.5450  0.02
N 0.7240 0.4480 0.8648  -0.01
N 0.0000 0.0000 0.5000  -0.01
Ce 0.9007 0.8013 0.2500  0.87
N 0.0000 0.0000 0.0000  -0.01
Ge 0.8328 0.6655 0.7500  0.00
Pr 0.6314 0.2628 0.4550  0.02
N 0.2760 0.5520 0.1352  -0.01
Ce 0.0993 0.1987 0.7500  0.87
N 0.5800 0.1599 0.2500  -0.01
N 0.4200 0.8401 0.7500  -0.01
Ge 0.1672 0.3345 0.2500  0.00
Pr 0.6314 0.2628 0.0450  0.02
N 0.7240 0.4480 0.6352  -0.01


Ce4Pr2Ge3N2: optimized geometry, GGA-PBE.

## Properties
density	6.74	g/cm3
E_form (uncorrected)	-945	meV/atom

a = 4.6506 Å, b = 4.6506 Å, c = 12.8210 Å
α = 100.45°, β = 100.45°, γ = 90.00°
Site moments in Bohr magnetons follow the coordinates.
Atoms (fractional coordinates):
Ce 0.5814 0.0814 0.1629  0.34
Ce 0.0814 0.5814 0.1629  0.34
N 0.3996 0.3996 0.7992  -0.02
Ge 0.1724 0.1724 0.3448  -0.02
Pr 0.6997 0.6997 0.3994  0.04
Pr 0.3003 0.3003 0.6006  0.04
Ge 0.0000 0.0000 0.0000  -0.03
N 0.6004 0.6004 0.2008  -0.02
Ce 0.4186 0.9186 0.8371  0.34
Ge 0.8276 0.8276 0.6552  -0.02
Ce 0.9186 0.4186 0.8371  0.34


CePr2GeN5: optimized geometry, GGA-PBE.

## Properties
density	6.94	g/cm3
E_form (uncorrected)	-776	meV/atom

a = 3.4422 Å, b = 7.9775 Å, c = 10.0712 Å
α = 90.00°, β = 90.00°, γ = 102.46°
Site moments in Bohr magnetons follow the coordinates.
Atoms (fractional coordinates):
Ge 0.5497 0.0994 0.9521  0.00
N 0.6639 0.3277 0.8712  0.09
N 0.3587 0.7173 0.0046  0.12
N 0.4958 0.9917 0.7881  0.08
N 0.9550 0.9099 0.5479  0.05
Ce 0.2149 0.4298 0.0099  0.06
N 0.0450 0.0901 0.0479  0.05
Ge 0.4503 0.9006 0.4521  0.00
Pr 0.1055 0.2109 0.6793  0.00
N 0.2889 0.5779 0.6645  0.17
N 0.6413 0.2827 0.5046  0.12
Pr 0.8945 0.7891 0.1793  0.00
Pr 0.1158 0.2315 0.3064  0.00
N 0.3361 0.6723 0.3712  0.09
N 0.7111 0.4221 0.1645  0.17
Ce 0.7851 0.5702 0.5099  0.06
Pr 0.8842 0.7685 0.8064  0.00
N 0.5042 0.0083 0.2881  0.08


Ce2PrGeN5: optimized geometry, GGA-PBE.

## Properties
density	6.95	g/cm3
E_form (uncorrected)	-915	meV/atom

a = 3.3545 Å, b = 8.6639 Å, c = 9.4487 Å
α = 90.00°, β = 90.00°, γ = 101.16°
Atoms (fractional coordinates):
N 0.6342 0.2684 0.5210
Pr 0.2213 0.4426 0.0013
Ge 0.5532 0.1064 0.9536
N 0.0355 0.0709 0.0492
N 0.4960 0.9919 0.7832
Ce 0.0950 0.1900 0.6742
Ce 0.9050 0.8100 0.1742
N 0.3484 0.6968 0.3574
N 0.5040 0.0081 0.2832
Pr 0.7787 0.5574 0.5013
N 0.3213 0.6427 0.6889
Ce 0.8959 0.7918 0.7951
N 0.9645 0.9291 0.5492
Ce 0.1041 0.2082 0.2951
N 0.6787 0.3573 0.1889
Ge 0.4468 0.8936 0.4536
N 0.3658 0.7316 0.0210
N 0.6516 0.3032 0.8574


RbCeGeN3: optimized geometry, GGA-PBE.

## Properties
density	4.51	g/cm3
E_form (uncorrected)	-480	meV/atom

a = 3.5481 Å, b = 8.3978 Å, c = 8.5371 Å
α = 100.23°, β = 90.00°, γ = 90.00°
Atoms (fractional coordinates):
N 0.7500 0.8235 0.1865
N 0.2500 0.8737 0.4997
Ge 0.7500 0.9032 0.3954
Rb 0.2500 0.1726 0.1874
Rb 0.7500 0.8274 0.8126
N 0.7500 0.4502 0.1136
N 0.2500 0.1765 0.8135
N 0.7500 0.1263 0.5003
Ce 0.7500 0.3761 0.8508
Ge 0.2500 0.0968 0.6046
Ce 0.2500 0.6239 0.1492
N 0.2500 0.5498 0.8864


CeGeRu2N: optimized geometry, GGA-PBE.

## Properties
density	8.91	g/cm3
E_form (uncorrected)	-633	meV/atom

a = 3.8459 Å, b = 6.0626 Å, c = 7.2278 Å
α = 90.00°, β = 90.00°, γ = 108.49°
Site moments in Bohr magnetons follow the coordinates.
Atoms (fractional coordinates):
N 0.0000 0.0000 0.5000  0.00
Ru 0.1614 0.3227 0.5518  0.00
Ge 0.2708 0.5415 0.2500  0.00
Ru 0.8386 0.6773 0.4482  0.00
Ru 0.8386 0.6773 0.0518  0.00
Ru 0.1614 0.3227 0.9482  0.00
Ge 0.7292 0.4585 0.7500  0.00
Ce 0.5494 0.0987 0.2500  0.41
N 0.0000 0.0000 0.0000  0.00
Ce 0.4506 0.9013 0.7500  0.41


CeGeRuN: optimized geometry, GGA-PBE.

## Properties
density	7.84	g/cm3